# File
/*
DFT (GGA-PBE) results for a relaxed structure of CdCu2SiTe4.

Results
The value obtained for the energy of formation is -0.39 eV/atom. The space-group type is I-42m. As for the corrected total energy (MP2020 scheme): -3.776 eV/atom.

Unit cell a=7.4345 b=7.4345 c=7.4345 alpha=130.98 beta=130.98 gamma=71.85
Atoms (fractional coordinates):
Te: 0.8648 0.4040 0.0000
Te: 0.1352 0.1352 0.5392
Te: 0.5960 0.5960 0.4608
Te: 0.4040 0.8648 0.0000
Cu: 0.2500 0.7500 0.5000
Cu: 0.7500 0.2500 0.5000
Si: 0.5000 0.5000 0.0000
Cd: 0.0000 0.0000 0.0000
*/

# Job
Repeat the entries earlier on word for word.

# Response
DFT (GGA-PBE) results for a relaxed structure of CdCu2SiTe4.

Results
The value obtained for the energy of formation is -0.39 eV/atom. The space-group type is I-42m. As for the corrected total energy (MP2020 scheme): -3.776 eV/atom.

Unit cell a=7.4345 b=7.4345 c=7.4345 alpha=130.98 beta=130.98 gamma=71.85
Atoms (fractional coordinates):
Te: 0.8648 0.4040 0.0000
Te: 0.1352 0.1352 0.5392
Te: 0.5960 0.5960 0.4608
Te: 0.4040 0.8648 0.0000
Cu: 0.2500 0.7500 0.5000
Cu: 0.7500 0.2500 0.5000
Si: 0.5000 0.5000 0.0000
Cd: 0.0000 0.0000 0.0000